

(Book Ended On Ch. 11.)


(October 31st, 2041). (Early-mid afternoon. My cell).

She is the reason, why I had to write this memoir. Well the joke's on them... All of them! Ha ha haaa! I know where they're meeting right now! And you know what... hold on. (Turns on tape recorder to finish the tale.)

"Guards? Guards? GUARDS?!" A heavyset man with tan skin and thick greasy black hair meets me at my cell. "What is it inmate Sorinthia?" I couldn't help but smile. "What're you grinnin' for inmate? You're scheduled to hit the lethal injection room later this evening." "I have some information that the feds may find... valuable."

I couldn't contain myself. My excitement was boiling over as the guard turned his walkie on. "Warden, inmate Sorinthia says he has some valuable information that the feds are going to like. Would you like to send one down sir?" There's a pause. My adrenaline is going full blow by now. "I'm sending down Special Agent Harrilton." "Copy that sir."

I see him turn off his walkie as he gazes at me with that bulldog face of his. Minutes pass and then a tall, burly man with short blonde hair shows up. "Open the cell, guard." "Yes sir." I got a good hard look at this man as the bars slid open. His face is wide, he has a wide jaw, a thick chin and a long nose.

His skin was lightly tan and he towered over me. In fact, the big mother fucker had to duck to even get into the cell. "May I sit?" "Please." I motioned towards a chair that I usually use, and sat on the toilet seat.

(The interview)

Harrilton: "What is this valuable information that you have for me? Are you going to expose your friends to us finally?"

I lean forward and look the man straight in the eyes.

Me: "Just for the record, I'm recording this. I'd like to have it as part of my memoir that I've been writing. I am also going to rewrite it for those who wish to listen and read along."

Harrilton: "As you wish. So please, enlighten me about your information."

I sit back and grin so weirdly at the man who gives me nothing but respect.

Me: "I've spent the last week or so writing this short memoir which is full of details."

Harrilton: "What... sort of details?"

I revel in the fact that he's flustered. But I do want him to know so those other bastards will finally be off the streets.

Me: "I know exactly where the Society's going to meet and at what time."

## Between two parts of the entry: records of crystals
/*
[1]
For ScGa4Ru2, a crystal structure in Alexandria, relaxed with PBE gives the theoretical PXRD pattern in this record (Cu Kα, 1.54184 Å).

Crystal structure
Unit cell a=4.043 b=4.043 c=7.002 alpha=90.00 beta=90.00 gamma=90.00
Space group P4/mmm (No. 123)
Unique sites:
Sc  0.000  0.000  0.000
Ga  0.000  0.500  0.281
Ru  0.000  0.000  0.500
Ru  0.500  0.500  0.000

Largest 10 diffraction maxima, in order of rising 2θ, 10° ≤ 2θ ≤ 90°:
2θ (°), I_rel
25.4, 34
33.9, 8
40.7, 100
44.8, 48
52.3, 19
65.3, 18
71.3, 18
75.6, 6
79.9, 26
88.3, 12

***

[2]
For Sc3Ga8Ru4, a crystal structure in Alexandria, relaxed with PBE gives the theoretical PXRD pattern in this record (Cu Kα, 1.54184 Å).

Crystal structure
Unit cell a=12.437 b=12.437 c=12.437 alpha=90.00 beta=90.00 gamma=90.00
Space group Fm-3m (No. 225)
Unique sites:
Sc  0.000  0.000  0.221
Ga  0.124  0.124  0.376
Ga  0.152  0.152  0.152
Ru  0.000  0.000  0.000
Ru  0.000  0.000  0.500
Ru  0.000  0.250  0.250

Largest 10 diffraction maxima, in order of rising 2θ, 10° ≤ 2θ ≤ 90°:
2θ (°), I_rel
24.8, 20
32.2, 5
37.6, 12
41.1, 100
48.6, 15
59.5, 12
72.5, 4
74.8, 21
80.2, 5
89.1, 6

***

[3]
For Sc2Ga5Ru, a crystal structure in Alexandria, relaxed with PBE gives the theoretical PXRD pattern in this record (Cu Kα, 1.54184 Å).

Crystal structure
Unit cell a=6.085 b=6.085 c=7.213 alpha=90.00 beta=90.00 gamma=90.00
Space group I4mm (No. 107)
Unique sites:
Sc  0.000  0.500  0.000
Ga  0.000  0.000  0.053
Ga  0.219  0.219  0.750
Ru  0.000  0.000  0.426

Largest 10 diffraction maxima, in order of rising 2θ, 10° ≤ 2θ ≤ 90°:
2θ (°), I_rel
20.6, 10
35.3, 18
38.7, 100
40.3, 19
42.0, 46
46.5, 14
50.6, 12
60.9, 12
67.8, 24
74.5, 19

***

[4]
For Sc5Ga4Ru, a crystal structure in Alexandria, relaxed with PBE gives the theoretical PXRD pattern in this record (Cu Kα, 1.54184 Å).

Crystal structure
Unit cell a=3.313 b=3.313 c=16.785 alpha=90.00 beta=90.00 gamma=90.00
Space group P4/mmm (No. 123)
Unique sites:
Sc  0.000  0.000  0.000
Sc  0.000  0.000  0.205
Sc  0.000  0.000  0.410
Ga  0.500  0.500  0.103
Ga  0.500  0.500  0.308
Ru  0.500  0.500  0.500

Largest 10 diffraction maxima, in order of rising 2θ, 10° ≤ 2θ ≤ 90°:
2θ (°), I_rel
26.6, 5
26.9, 10
38.2, 100
38.4, 51
54.7, 8
55.5, 17
68.8, 14
69.3, 31
81.7, 9
82.3, 5

***

[5]
For Sc2Ga4Ru, a crystal structure in Alexandria, relaxed with PBE gives the theoretical PXRD pattern in this record (Cu Kα, 1.54184 Å).

Crystal structure
Unit cell a=4.649 b=4.649 c=13.864 alpha=90.00 beta=90.00 gamma=90.00
Space group I4/mmm (No. 139)
Unique sites:
Sc  0.000  0.000  0.126
Ga  0.000  0.000  0.320
Ga  0.000  0.500  0.000
Ru  0.000  0.000  0.500

Largest 10 diffraction maxima, in order of rising 2θ, 10° ≤ 2θ ≤ 90°:
2θ (°), I_rel
12.8, 78
20.1, 47
27.1, 44
30.1, 33
37.8, 96
38.7, 100
39.0, 30
55.2, 46
55.9, 33
56.1, 41

***

[6]
For Sc5GaRu6, a crystal structure in Alexandria, relaxed with PBE gives the theoretical PXRD pattern in this record (Cu Kα, 1.54184 Å).

Crystal structure
*/

Harrilton's expression made my adrenaline kick in even harder. I was riding off this high, hoping it would carry me through my execution.

Harrilton: "Where are they going to meet then?"

He leaned in close; his hands folded and a stern look about him. I had to do the same, just so I could feel a bit on his level.

Me: "There's an old abandoned slaughterhouse on the outskirts of New York City. It's stationed just beside the bank of the ocean channel and overlooks the Statue of Liberty."

Harrilton's face lit up so fast, that I thought was gonna freak out right then and there.

Harrilton: "I know where the structure is... It's been kind of worn down over the years though. Is this where you...?"

Me: "No. This is not where I killed my victims. Remember, I killed Lance Burbs, participated in killing Officer Moors and even tortured Simon Virgo at the old apartment. You know, the one nearby the New York Times Building?"

I was so happy to see that I was finally doing something right in my life. Harrilton was grinning at this point, twiddling his thumbs as he sat back to take this all in.

Harrilton: "I remember that building as well. I remember leading the task force as we investigated it. You know, I actually recall picking up traces of a different set of fingerprints, other than yours."

This last statement rang through my head. I had to lean back as well to assess what this man had just stated.

Me: "Let me guess. They belonged to Rachel Zale?"

Harrilton nodded at me and gave me a smirk which I returned. I felt as giddy as a horny nerd looking for any form of sex he could get.

Harrilton: "And..."

He and I both leaned in close. Our noses were only inches apart.

Harrilton: "We found traces of dried blood both on and under that chair you two used. That belonged to none other than Simon-Trifecta-Virgo."

It's safe to note that I'm filling these narrative sections in after the interview. It's making me hurry, since my execution is hours away.

Me: "Did you happen to find some of Maggie Bailey's DNA?"

I just had to ask this question. Harrilton looked ecstatic and all he could muster was a few nods.

Me: "Please tell me what you found and where it was! I'm so fuckin' happy right now!"

Harrilton actually gave me a pat on the shoulder as he continued to smile. And when he spoke it was in a whisper and a completely respectful tone.

Harrilton: "We searched and we searched until we found something. Maggie hadn't realized this, but when she was at your apartment, she scratched herself on that old rusty mattress... You wanna guess what she left behind?"

Me: "She left her DNA! Yes!!! All that we need now is DNA from Adam McDull and Victoria Hull."

It's safe to note that I'm a wee bit too excited. I'm in jail because of my past, and partly because Rachel turned me in.

Harrilton: "You do not need to worry about that. Adam McDull was discovered shortly after you were apprehended. His body, more so, his torso and head were found floating near the bank behind that building. We searched that place thoroughly and found traces of blood. But the Society wouldn't be foolish enough to meet back up there, would they?"

Me: (Chuckling).

I just imagined the state that the old man's body was in. Sure, I cherished his wisdom at first, but I quickly realized just how vial that man really was.

Me: "Have your agents ready. Surround that slaughterhouse and keep it surrounded around eight thirty. You'll most likely find Maggie, Simon, Victoria and my precious Rachel. Bah! I hate that bitch now."

I couldn't stand to stare Harrilton in the face, so I focused all my attention on the cockroaches that scurried along nearby the wall.

Harrilton: "If what you're saying is true, Sorinthia, then this may be one of the hugest busts the F.B.I. has ever had. How amazing would it be to collect not one, two or three, but four serial killers that were at large?"

I could barely contain my happiness either, so I laughed alongside him.

Me: "Well you better go get your team assembled Harrilton. I'll await the news up to the point of my death."

(Harrilton left five hours ago.)

"Alright. The recorder is still going for ease of completion. I've filled in all the sections in the breaks of our conversation, and we're good to go. It's been at least five hours since Harrilton and I talked so I figured I'd finish this little memoir up.

For anyone who reads this, remember that I tried to do good in the end. Remember that I was not the only person in the group."

(Harrilton and his squad await, resting on the exterior walls of the slaughterhouse.)

"What time did Sorinthia say for us to wait for?" his nerves were felt by every member of his squad. A short woman with a black ponytail gulped loudly beside him, drawing his attention.

"What is it Agent Dola?" "It's eight twenty eight p.m. sir. Wasn't Sorinthia's execution set for eight thirty?"

Shane: "I'm gonna end this memoir with something that I have to get off my chest."

Harrilton couldn't stop himself from checking his watch to staring Agent Dola in the face. The concern written across it mimicked that of what he felt. "Didn't he say that he'd await the news up to the point of his execution?"

Shane: "I've been rotting in this hell hole for over forty fucking years! They've treated me like shit! Ever since I got in here, the mother fuckers beat me to an inch of my death. They raped me day in and day out... They; They tortured me with lighters and sprayed me with mace on a daily basis..."

(Back at the slaughterhouse the thoughts running through Harrilton's mind were sporadic.)

"He was set to be executed at eight thirty, right?" Dola nodded. "What time is it now?" He eagerly awaited her response as she checked her watch. "It's... e-eight twenty nine now sir."

Sorinthia's voice ran through his head, "I'll await the news... ′up to the point of my death'..." His eyes flew open as realization dawned upon him. That was when he hard the beeping noises.

Calculated crystals that have nothing to do with the piece =
[1]
The following is a theoretical XRD peak list of TbAlZn2Pt. It was derived from DFT lattice parameters and positions (PBE), using Cu Ka.

Atomic structure:
```
TbAlZn2Pt
1.0
3.747 0.000 0.000
0.000 4.215 0.000
0.000 0.000 11.769
Tb Al Zn Pt
2 2 4 2
Direct
0.000 0.000 0.000 Tb
0.500 0.500 0.500 Tb
0.000 0.500 0.751 Al
0.500 0.000 0.251 Al
0.000 0.000 0.615 Zn
0.000 0.500 0.263 Zn
0.500 0.000 0.763 Zn
0.500 0.500 0.115 Zn
0.000 0.000 0.398 Pt
0.500 0.500 0.898 Pt
```

Top 12 peaks for 2θ = 5–70°, by intensity:
Position (°2θ)  I (rel.)
35.5  100
32.0  61
31.1  56
15.1  53
44.1  48
33.1  46
42.9  36
45.5  34
67.7  26
48.6  25
64.3  24
55.2  22

[2]
The following is a theoretical XRD peak list of Tb2Al4Zn3Pt. It was derived from DFT lattice parameters and positions (PBE), using Cu Ka.

Atomic structure:
```
Tb2Al4Zn3Pt
1.0
4.142 0.000 0.000
0.000 4.142 0.000
0.000 0.000 10.826
Tb Al Zn Pt
2 4 3 1
Direct
0.000 0.500 0.250 Tb
0.500 0.000 0.750 Tb
0.000 0.000 0.000 Al
0.000 0.500 0.632 Al
0.500 0.000 0.368 Al
0.500 0.500 0.000 Al
0.000 0.500 0.859 Zn
0.500 0.000 0.141 Zn
0.500 0.500 0.500 Zn
0.000 0.000 0.500 Pt
```

Top 12 peaks for 2θ = 5–70°, by intensity:
Position (°2θ)  I (rel.)
34.8  100
32.9  49
43.7  41
8.2  36
23.0  26
47.4  25
55.8  22
31.6  20
66.4  18
60.2  13
63.5  13
33.1  13

[3]
The following is a theoretical XRD peak list of Th3Al2Pt4. It was derived from DFT lattice parameters and positions (PBE), using Cu Ka.

Atomic structure:
```
Th3Al2Pt4
1.0
5.689 -2.177 0.000
5.689 2.177 0.000
-3.828 0.000 7.853
Th Al Pt
3 2 4
Direct
0.000 0.000 0.000 Th
0.367 0.367 0.302 Th
0.633 0.633 0.698 Th
0.326 0.326 0.651 Al
0.674 0.674 0.349 Al
0.082 0.082 0.403 Pt
0.297 0.297 0.927 Pt
0.703 0.703 0.073 Pt
0.918 0.918 0.597 Pt
```

Top 12 peaks for 2θ = 5–70°, by intensity:
Position (°2θ)  I (rel.)
34.6  100
31.3  85
33.4  79
38.9  67
41.5  53
30.8  45
34.3  26
31.7  26
52.5  21
16.0  21
69.6  20
50.4  20

[4]
The following is a theoretical XRD peak list of Th2Al3Pt9. It was derived from DFT lattice parameters and positions (PBE), using Cu Ka.

Atomic structure:
```
Th2Al3Pt9
1.0
6.699 -3.863 0.000
6.699 3.863 0.000
-4.572 0.000 9.515
Th Al Pt
4 6 18
Direct
0.083 0.255 0.250 Th
0.255 0.083 0.750 Th
0.745 0.917 0.250 Th
0.917 0.745 0.750 Th
0.000 0.500 0.000 Al
0.150 0.676 0.500 Al
0.324 0.850 0.000 Al
0.500 0.000 0.500 Al
0.676 0.150 0.000 Al
0.850 0.324 0.500 Al
0.028 0.852 0.071 Pt
0.148 0.972 0.429 Pt
0.198 0.357 0.570 Pt
0.199 0.586 0.252 Pt
0.312 0.476 0.926 Pt
0.357 0.198 0.070 Pt
0.365 0.635 0.750 Pt
0.414 0.801 0.248 Pt
0.476 0.312 0.426 Pt
0.524 0.688 0.574 Pt
0.586 0.199 0.752 Pt
0.635 0.365 0.250 Pt
0.643 0.802 0.930 Pt
0.688 0.524 0.074 Pt
0.801 0.414 0.748 Pt
0.802 0.643 0.430 Pt
0.852 0.028 0.571 Pt
0.972 0.148 0.929 Pt
```

Top 12 peaks for 2θ = 5–70°, by intensity:
Position (°2θ)  I (rel.)
40.4  100
36.7  67
36.5  66
36.8  65
23.0  26
47.0  18
35.6  18
37.8  18
63.7  17
58.2  17
55.7  14
55.4  12

[5]

Shane: "It was our plan all along you know... For Rachel to turn me in? She had her sites set on Harrilton and his fuckin' team for years! They've been chasing her for as long as she could remember. All of that dismay; all of that anger, it boiled down to mere acting. And years I waited in this shit hole. Forty-fucking-years-to-be-exact!

(The beeping speeds up.)

"Run! Move! Move! MOVE!" Harrilton couldn't get himself to yell loud or fast enough.

Shane: "For whomever reads and hears this tale, know this. I, Shane Sorinthia, leader of the most heinous group in American history, the Slash and Burn Society, beloved husband to Rachel Zale and the most infamous murderer of all time will soon bid thee farewell."

(Harrilton hears the beeping as it becomes too rapid. He knows his and his squad member's fates. With his eyes closed and heart ready, the bombs detonate.)

(Shane is strapped down inside the lethal injection room. The curtains are drawn open. The entirety of the original Slash and Burn Society await. Simon and Maggie sit happily waving as does Victoria. Bruce is in the back, smiling all the while. Shane feels his lips spread thin; a malicious grin forms. As the liquids begin to enter his body, he sees them disappear, one by one. The last spirit to remain was Rachel.)

Shane's recorder: "And to whom listens to this, know that my love for Rachel was like no other. When I received the news that cancer claimed her life, I was so angry because I knew her drinking would get to her. Of course I was bitter towards her at first, but that was all part of the plan.

=====
GaNiPbO4: calculated XRD peak list (copper Kα), based on a crystal structure in Alexandria, relaxed with PBE+U.
Kinematic intensities with the Lorentz-polarization factor, no thermal factor.

Top 10 peaks for 5 to 70 degrees two-theta, sorted by position:
2θ 17.16, d 5.167, rel. 62
2θ 20.14, d 4.409, rel. 20
2θ 27.99, d 3.188, rel. 23
2θ 33.07, d 2.709, rel. 100
2θ 33.58, d 2.669, rel. 47
2θ 34.75, d 2.581, rel. 45
2θ 40.04, d 2.252, rel. 25
2θ 44.30, d 2.045, rel. 16
2θ 52.85, d 1.732, rel. 25
2θ 58.61, d 1.575, rel. 37

Structural model:
abc: 6.302 6.302 6.302
angles: 119.38 119.22 91.22
Element x y z (fractional)
1 Ga 0.379 0.129 0.250
2 Ga 0.621 0.871 0.750
3 Ni 0.000 0.500 0.500
4 Ni 0.500 0.500 0.000
5 Pb 0.000 0.000 0.500
6 Pb 0.000 0.500 0.000
7 O 0.253 0.738 0.516
8 O 0.262 0.270 0.508
9 O 0.262 0.754 0.992
10 O 0.278 0.262 0.016
11 O 0.722 0.738 0.984
12 O 0.738 0.246 0.008
13 O 0.738 0.730 0.492
14 O 0.747 0.262 0.484

=====

Starting from a cell relaxed with PBE, the X-ray powder pattern of La3Tb4Se8 was simulated for Cu Ka.
Kinematic intensities with the Lorentz-polarization factor, no thermal factor.

Structural model:
```
data_La3Tb4Se8
_cell_length_a 8.381
_cell_length_b 8.381
_cell_length_c 8.330
_cell_angle_alpha 119.75
_cell_angle_beta 119.75
_cell_angle_gamma 90.05
_space_group_name_H-M_alt 'P 1'
_space_group_IT_number 1
_space_group_name_Hall 'P 1'
loop_
_atom_site_label
_atom_site_type_symbol
_atom_site_fract_x
_atom_site_fract_y
_atom_site_fract_z
_atom_site_occupancy
La1 La 0.000 0.000 0.000 1
La2 La 0.000 0.500 0.000 1
La3 La 0.500 0.000 0.000 1
Tb1 Tb 0.000 0.500 0.500 1
Tb2 Tb 0.500 0.000 0.500 1
Tb3 Tb 0.500 0.500 0.000 1
Tb4 Tb 0.500 0.500 0.500 1
Se1 Se 0.253 0.747 0.500 1
Se2 Se 0.255 0.745 0.000 1
Se3 Se 0.257 0.257 0.510 1
Se4 Se 0.259 0.259 0.007 1
Se5 Se 0.741 0.741 0.993 1
Se6 Se 0.743 0.743 0.490 1
Se7 Se 0.745 0.255 0.000 1
Se8 Se 0.747 0.253 0.500 1
```

Most intense lines, 10 to 80 degrees two-theta, low angle first:
- 30.2°, I = 100
- 42.9°, I = 13
- 43.2°, I = 50
- 43.5°, I = 12
- 53.3°, I = 13
- 53.8°, I = 13
- 71.1°, I = 22
- 78.8°, I = 8

---

Starting from a cell relaxed with PBE, the X-ray powder pattern of LaTb2Se was simulated for Cu Ka.
Kinematic intensities with the Lorentz-polarization factor, no thermal factor.

Structural model:
```
data_LaTb2Se
_cell_length_a 3.831
_cell_length_b 3.831
_cell_length_c 29.120
_cell_angle_alpha 90.00
_cell_angle_beta 90.00
_cell_angle_gamma 120.00
_space_group_name_H-M_alt 'P 1'
_space_group_IT_number 1
_space_group_name_Hall 'P 1'
loop_
_atom_site_label
_atom_site_type_symbol
_atom_site_fract_x
_atom_site_fract_y
_atom_site_fract_z
_atom_site_occupancy
La1 La 0.000 0.000 0.000 1
La2 La 0.333 0.667 0.667 1
La3 La 0.667 0.333 0.333 1
Tb1 Tb 0.000 0.000 0.230 1
Tb2 Tb 0.000 0.000 0.437 1
Tb3 Tb 0.333 0.667 0.103 1
Tb4 Tb 0.333 0.667 0.896 1
Tb5 Tb 0.667 0.333 0.563 1
Tb6 Tb 0.667 0.333 0.770 1
Se1 Se 0.000 0.000 0.833 1
Se2 Se 0.333 0.667 0.500 1
=====

My beloved Rachel... I love you! And as for Harrilton and his squad, I hope Heaven is a good home. This is Shane Sorinthia and I'm signing off for good."

(Shane feels his eyes grow heavier as he's almost put off to sleep. The last thing he sees is Rachel waving and blowing him a kiss. She disappears shortly after.)

(Ten minutes after Shane is executed).

(The recorder continues to run with static in the background and numerous amounts of talking from the other inmates. Hidden among this is a whispered conversation.)

"I love you so much honey!"

(Silence ensues for a short while.)

"...I love you too babe."